For the first time in many years, the History Maker Global Conference was held outside Singapore, in the city of Penang from November 2nd to 5th. The conference revolved around one theme, “Supernatural Manifestations.” Delegates from about 18 countries came together to seek a deeper presence of the Lord and to see His glory manifested in a greater dimension. From the beginning till the end, the Lord moved in ways many have never experienced before. People were touched by the Lord and made a commitment to desire more of His glory and presence!
We were honored to have with us guest speakers Rob DeLuca, the senior pastor at His Way Church (New Zealand), and John Torres, the senior pastor at Lighthouse International Church (USA). Together they brought about a tremendous measure of the presence of God. Joining us at the conference was the Equippers band from Equippers Church (New Zealand), leading the crowd in electrifying praise that brought down the roof, and an awesome time of worship as we enter the heavenly presence of God.
(What comes next are crystal structures, not part of the page)
=====
Entry 1:
A plane-wave DFT calculation with GGA-PBE was carried out for an optimized crystal structure of HfTiVNi.

* E: -8.265 eV/atom

Unit cell a=6.2953 b=6.2953 c=6.2953 alpha=90.00 beta=90.00 gamma=90.00
Space group F-43m (No. 216)
Inequivalent atoms, fractional coordinates:
Hf 0.0000 0.0000 0.0000 x4
Ti 0.0000 0.0000 0.5000 x4
V 0.2500 0.2500 0.2500 x4
Ni 0.2500 0.2500 0.7500 x4

=====

Entry 2:
A plane-wave DFT calculation with GGA-PBE was carried out for an optimized crystal structure of HfTiNiW.

* E: -9.285 eV/atom

Unit cell a=6.3586 b=6.3586 c=6.3586 alpha=90.00 beta=90.00 gamma=90.00
Space group F-43m (No. 216)
Inequivalent atoms, fractional coordinates:
Hf 0.0000 0.0000 0.0000 x4
Ti 0.0000 0.0000 0.5000 x4
Ni 0.2500 0.2500 0.7500 x4
W 0.2500 0.2500 0.2500 x4

=====

Entry 3:
A plane-wave DFT calculation with GGA-PBE was carried out for an optimized crystal structure of Hf2TiNiW.

* E: -8.118 eV/atom

Unit cell a=5.0592 b=5.0592 c=4.6277 alpha=90.00 beta=90.00 gamma=90.00
Space group P4/mmm (No. 123)
Inequivalent atoms, fractional coordinates:
Hf 0.0000 0.5000 0.0000 x2
Ti 0.0000 0.0000 0.5000 x1
Ni 0.5000 0.5000 0.5000 x1
W 0.0000 0.0000 0.0000 x1

=====

Entry 4:
A plane-wave DFT calculation with GGA-PBE was carried out for an optimized crystal structure of HfTiZnNi.

* E: -6.441 eV/atom

Unit cell a=6.3498 b=6.3498 c=6.3498 alpha=90.00 beta=90.00 gamma=90.00
Space group F-43m (No. 216)
Inequivalent atoms, fractional coordinates:
Hf 0.0000 0.0000 0.0000 x4
Ti 0.0000 0.0000 0.5000 x4
Zn 0.2500 0.2500 0.2500 x4
Ni 0.2500 0.2500 0.7500 x4

=====

Entry 5:
A plane-wave DFT calculation with GGA-PBE was carried out for an optimized crystal structure of Hf2ZrTiNi.

* E: -7.191 eV/atom

Unit cell a=5.0782 b=5.0782 c=4.4764 alpha=90.00 beta=90.00 gamma=90.00
Space group P4/mmm (No. 123)
Inequivalent atoms, fractional coordinates:
Hf 0.0000 0.5000 0.0000 x2
Zr 0.0000 0.0000 0.0000 x1
Ti 0.5000 0.5000 0.5000 x1
Ni 0.0000 0.0000 0.5000 x1

=====

Entry 6:
A plane-wave DFT calculation with GGA-PBE was carried out for an optimized crystal structure of Hf2TlNi.

* E: -6.944 eV/atom
* distance to the lowest polymorph of the same formula: 0.187 eV/atom

Unit cell a=6.7757 b=6.7757 c=6.7757 alpha=90.00 beta=90.00 gamma=90.00
Space group Fm-3m (No. 225)
Inequivalent atoms, fractional coordinates:
Hf 0.2500 0.2500 0.2500 x8
Tl 0.0000 0.0000 0.0000 x4
Ni 0.0000 0.0000 0.5000 x4

=====

Please write out number 1 again, unchanged.
A plane-wave DFT calculation with GGA-PBE was carried out for an optimized crystal structure of HfTiVNi.

* E: -8.265 eV/atom

Unit cell a=6.2953 b=6.2953 c=6.2953 alpha=90.00 beta=90.00 gamma=90.00
Space group F-43m (No. 216)
Inequivalent atoms, fractional coordinates:
Hf 0.0000 0.0000 0.0000 x4
Ti 0.0000 0.0000 0.5000 x4
V 0.2500 0.2500 0.2500 x4
Ni 0.2500 0.2500 0.7500 x4

=====

> Which value of E does entry 3 give?

-8.118 eV/atom

=====

> Look up the E of the third one.

-8.118 eV/atom

=====
=====
At the very first session, Rob DeLuca set the tone for the entire conference with his opening message that this event should not be just a conference, but an encounter with the Lord. He urged the people to enter this new season; if we did not shift with God, we would hinder His work. As Rob puts it, “Relevance for the cost of presence is rubbish.” God's people must not trade anything for His glory and presence, in other words be man-pleasers. As we drink of the new wine and allow His Spirit to show up, the world around us will be refreshed, sinners repent, lives get changed, the sick are healed and those in bondage will receive freedom!
Later that morning, John Torres preached the Word with much passion, like a sprinter who tore down the tracks. He spoke on the three ways God would speak to His people: seeing, hearing and sensing (Isaiah 21:1-3). God is speaking all the time, and we just need to tune in to His voice. Moving in the Spirit and hearing the voice of the Lord is for everybody. In closing, some were called up to the stage to bring a prophetic exhortation to the congregation.
Our History Maker advisor, Richard Brown III (Japan), spoke that Wednesday evening, exhorting the people of God to be on the cutting edge. God is showing new things to the church and bringing a new dimension of the Spirit. He urged every believer to leave the old wineskin, in order to receive the new wine. Every person will leave the conference with fresh fire to bring back to their churches and nations, hallelujah!
That night was the graduation for the inaugural Class of 2010 of Harvest Bible University. Two students received the Certificate in Ministry, one student received the Diploma in Ministry and seven students received the Associate Degree in Ministry. The various leaders laid hands on the students to release them into the calling and mandate God has for their lives.
The second day of the conference started with a prayer meeting at 5:30am. Our History Maker partner from Taiwan, Aaron Wong, brought an encouraging word to the crowd that gathered. The hall was like a power house, because “one can chase a thousand, and two put ten thousand to flight.” Together we stood in the gap and sought the face of God for a revival in the nations.
That morning Rob DeLuca shared about how God works in atmospheres. If we lack sensitivity we would miss it. Our goal is to understand His ways, what He likes and dislikes. It is not complicated at all – to build an intimate relationship with God to the point where we know Him just as He knows us (Exodus 33). If we know God intimately, we can know what He likes. The church cannot afford to stay in ‘religion’ otherwise the world will not be changed. Let us turn away from religious preferences or man-made doctrines, so that God would reveal Himself in a greater measure!
“O LORD, revive Your work in the midst of the years! In the midst of the years make it known; in wrath remember mercy” Habakkuk 3:2. In the following session, John Torres shared what the Lord has done before, He can do it again. Wherever we go, signs and wonders ought to follow us. We are touched so that times of refreshing may come (Acts 3:19). And when that happens, a whole region is transformed – that is revival taking place! God has called all of us to bring supernatural revivals and use us to take nations!
Thursday evening was phenomenal because the tangible glory of
the Lord came upon the people. We were all soaked in His presence and time sort of stood still. There was no preaching, no laying on of hands and it didn’t matter who was beside us. We were just loving on God and allowing His presence to embrace us like never before. There was a spiritual shift happening that day. There were decisions taking place in hearts that will determine the road they will take. There was a repositioning by the Lord to become “burning ones” so that the world will know and see that He is God!
We began our Friday early in the morning with prayer. Naomi Nakama (Japan) brought to us a powerful exhortation. With hearts united and spirits as one, we prayed for God’s Kingdom to invade the earth – on earth as it is in heaven! “How good and pleasant it is when brothers live together in unity!” (Psalm 133:1).
The morning sessions once again brought a greater surrender of our hearts and will, led by Rob DeLuca. Do we prefer others above ourselves? Do we look to be served? Do we take time out of our schedules to minister to someone? Are we willing to lay down our lives for others? What God desires is for our flesh to be burned, so that God would be seen more in us. Holiness is what the Lord is looking for. He wants a people that would say, “Whatever Your will is, I’ll do!”
On all the afternoons we had workshops on worship leading, song writing and worship team dynamics by the Equippers band, taught mainly by Libby Huirua, Daniel Zeltner and Isaac Graham. At the same time there were other workshops led by Shekhar Kallianpur (India) on the Inter
national Youth Festival; Andrew Robertson (New Zealand) on Entrepreneurship and Faith; and Kul Bal Singh (Australia) on Signs and Wonders. Those who attended the workshops were greatly blessed as they learned practical tools that will help them to come to a greater level in the Lord.
The final session on Friday evening saw John Torres conclude with “Re-commissioning Your Mission.” As we re-commission our mission, His mission becomes our mission! We have been anointed to be a blessing to someone else. We need to take the mission of Jesus and make it our own.
Pastor Richard William (Singapore) brought a closure to the conference. There was such a fire and passion in the atmosphere that night. Flags of nations were held out and tears flowed as we lift up our voice for the souls in these nations. We knew we were receiving a vision, a call and a mandate that may cost us our lives to see them come to the Lord.
For many the highlight of the conference was the glory and presence of God. It wasn’t about the preacher or the worship team, but God Himself – Him showing up, and all that we want is to stay in that presence forever. This is just a new beginning of a greater dimension of God.
“As it is written:
‘Eye has not seen, nor ear heard,
Nor have entered into the heart of man
The things which God has prepared for those who love Him.’
But God has revealed them to us through His Spirit. For the Spirit searches all things, yes, the deep things of God.” 1 Cor. 2:9-10.